== Given ==
Entry 1:
Density functional theory data (PBE-GGA) for YZn2NiOs after structural relaxation.

Calculated values
- DOS(E_F): 5.6 states/eV/cell
- ΔH_f (0 K): 9.7 eV per formula unit

The structure in CIF format:
```
data_YZn2NiOs
_cell_length_a 5.2926
_cell_length_b 5.2926
_cell_length_c 4.9434
_cell_angle_alpha 90.00
_cell_angle_beta 90.00
_cell_angle_gamma 90.00
_space_group_name_H-M_alt 'P 4/m m m'
_space_group_IT_number 123
_space_group_name_Hall '-P 4 2'
loop_
_atom_site_label
_atom_site_type_symbol
_atom_site_fract_x
_atom_site_fract_y
_atom_site_fract_z
_atom_site_occupancy
Y1 Y 0.0000 0.0000 0.0000 1
Zn1 Zn 0.0000 0.5000 0.0000 1
Ni1 Ni 0.5000 0.5000 0.5000 1
Os1 Os 0.0000 0.0000 0.5000 1
```

=====

Entry 2:
Density functional theory data (PBE-GGA) for YZrNiOs after structural relaxation.

Calculated values
- DOS(E_F): 8.7 states/eV/cell
- ΔH_f (0 K): -1.3 eV per formula unit

The structure in CIF format:
```
data_YZrNiOs
_cell_length_a 6.6616
_cell_length_b 6.6616
_cell_length_c 6.6616
_cell_angle_alpha 90.00
_cell_angle_beta 90.00
_cell_angle_gamma 90.00
_space_group_name_H-M_alt 'F -4 3 m'
_space_group_IT_number 216
_space_group_name_Hall 'F -4 2 3'
loop_
_atom_site_label
_atom_site_type_symbol
_atom_site_fract_x
_atom_site_fract_y
_atom_site_fract_z
_atom_site_occupancy
Y1 Y 0.0000 0.0000 0.0000 1
Zr1 Zr 0.0000 0.0000 0.5000 1
Ni1 Ni 0.2500 0.2500 0.2500 1
Os1 Os 0.2500 0.2500 0.7500 1
```

=====

Entry 3:
Density functional theory data (PBE-GGA) for ZnNi2Os after structural relaxation.

Calculated values
- DOS(E_F): 9.3 states/eV/cell
- ΔH_f (0 K): 0.1 eV per formula unit

The structure in CIF format:
```
data_ZnNi2Os
_cell_length_a 5.2361
_cell_length_b 7.3364
_cell_length_c 2.5897
_cell_angle_alpha 90.00
_cell_angle_beta 90.00
_cell_angle_gamma 90.00
_space_group_name_H-M_alt 'C m m m'
_space_group_IT_number 65
_space_group_name_Hall '-C 2 2'
loop_
_atom_site_label
_atom_site_type_symbol
_atom_site_fract_x
_atom_site_fract_y
_atom_site_fract_z
_atom_site_occupancy
Zn1 Zn 0.0000 0.0000 0.0000 1
Ni1 Ni 0.2500 0.2500 0.5000 1
Os1 Os 0.0000 0.5000 0.0000 1
```

=====

Entry 4:
Density functional theory data (PBE-GGA) for Zn3NiOs after structural relaxation.

Calculated values
- DOS(E_F): 4.4 states/eV/cell
- ΔH_f (0 K): 5.6 eV per formula unit

The structure in CIF format:
```
data_Zn3NiOs
_cell_length_a 4.7475
_cell_length_b 4.7475
_cell_length_c 4.7475
_cell_angle_alpha 90.00
_cell_angle_beta 90.00
_cell_angle_gamma 90.00
_space_group_name_H-M_alt 'P m -3 m'
_space_group_IT_number 221
_space_group_name_Hall '-P 4 2 3'
loop_
_atom_site_label
_atom_site_type_symbol
_atom_site_fract_x
_atom_site_fract_y
_atom_site_fract_z
_atom_site_occupancy
Zn1 Zn 0.0000 0.0000 0.5000 1
Ni1 Ni 0.5000 0.5000 0.5000 1
Os1 Os 0.0000 0.0000 0.0000 1
```


Pr3WBr2O6 GGA+U optimized geometry; magnetization = 0.337 μB per cell; DOS at the Fermi energy = 0.145 states/eV/atom; final energy = -6.82 eV per atom
1.0
5.798 0.000 0.713
0.000 6.541 0.000
0.209 -3.271 6.172
Pr W Br O
3 1 2 6
Direct
0.000 0.500 0.000
0.500 0.500 0.500
0.500 0.000 0.500
0.500 0.000 0.000
0.101 0.719 0.438
0.899 0.281 0.562
0.694 0.278 0.107
0.306 0.722 0.893
0.667 0.853 0.706
0.333 0.147 0.294
0.306 0.171 0.893
0.694 0.829 0.107

== Exercise ==
Your job: filter the material above: keep the lines with the word "Density".

== Solution ==
Density functional theory data (PBE-GGA) for YZn2NiOs after structural relaxation.
Density functional theory data (PBE-GGA) for YZrNiOs after structural relaxation.
Density functional theory data (PBE-GGA) for ZnNi2Os after structural relaxation.
Density functional theory data (PBE-GGA) for Zn3NiOs after structural relaxation.